Could you quote the block further down from the first line to the one with "49.4" without altering anything?
____________
# MgV8O16
Theoretical powder diffractogram, Cu Kα (weighted mean of Kα1 and Kα2). Input: the PBE+U geometry in Alexandria.
No peak broadening, texture or thermal motion is included.

Lattice parameters (Å, degrees): 5.205 10.463 5.902 90.00 92.74 90.00
Fractional coordinates of all 25 atoms:
Mg  0.000  0.000  0.000
V  0.151  0.251  0.740
V  0.151  0.749  0.740
V  0.157  0.251  0.247
V  0.157  0.749  0.247
V  0.643  0.249  0.997
V  0.643  0.751  0.997
V  0.666  0.228  0.501
V  0.666  0.772  0.501
O  0.308  0.145  0.997
O  0.308  0.855  0.997
O  0.312  0.151  0.487
O  0.312  0.849  0.487
O  0.501  0.331  0.254
O  0.501  0.669  0.254
O  0.512  0.332  0.745
O  0.512  0.668  0.745
O  0.820  0.137  0.753
O  0.820  0.863  0.753
O  0.830  0.140  0.225
O  0.830  0.860  0.225
O  0.975  0.336  0.486
O  0.975  0.664  0.486
O  0.987  0.338  0.004
O  0.987  0.662  0.004

Principal peaks in the range 2θ = 10–80°, low angle first:
| 2theta | Rel. int. | hkl |
| --- | --- | --- |
| 16.9 | 100 | 0 2 0 |
| 34.3 | 8 | 1 0 -2 |
| 34.5 | 5 | 2 0 0 |
| 38.4 | 14 | 1 2 -2 |
| 38.7 | 13 | 2 2 0 |
| 39.8 | 12 | 1 2 2 |
| 49.2 | 10 | 1 4 -2 |
| 49.4 | 10 | 2 4 0 |
| 50.4 | 9 | 1 4 2 |
| 63.5 | 8 | 3 0 2 |

~~~~~

Diffraction record for Li6SiPb2. The powder diffractogram is calculated, not measured: it uses a crystal structure in Alexandria, relaxed with PBE and Cu Kα X-rays.

Cell and atoms:
Cell: 8.010 8.010 3.069 Å, 90.00 90.00 120.00°
Positions (direct):
1 Li 0.000 0.275 0.000
2 Li 0.000 0.653 0.500
3 Li 0.275 0.000 0.000
4 Li 0.347 0.347 0.500
5 Li 0.653 0.000 0.500
6 Li 0.725 0.725 0.000
7 Si 0.000 0.000 0.500
8 Pb 0.333 0.667 0.000
9 Pb 0.667 0.333 0.000

Most intense lines, 2θ = 10–90°, sorted by position:
Position (°2θ), d_spacing, intensity
12.76, 6.937, 53.7
22.20, 4.005, 100.0
31.89, 2.807, 24.1
36.90, 2.436, 45.8
38.95, 2.312, 28.8
49.35, 1.847, 19.7
____________
# MgV8O16
Theoretical powder diffractogram, Cu Kα (weighted mean of Kα1 and Kα2). Input: the PBE+U geometry in Alexandria.
No peak broadening, texture or thermal motion is included.

Lattice parameters (Å, degrees): 5.205 10.463 5.902 90.00 92.74 90.00
Fractional coordinates of all 25 atoms:
Mg  0.000  0.000  0.000
V  0.151  0.251  0.740
V  0.151  0.749  0.740
V  0.157  0.251  0.247
V  0.157  0.749  0.247
V  0.643  0.249  0.997
V  0.643  0.751  0.997
V  0.666  0.228  0.501
V  0.666  0.772  0.501
O  0.308  0.145  0.997
O  0.308  0.855  0.997
O  0.312  0.151  0.487
O  0.312  0.849  0.487
O  0.501  0.331  0.254
O  0.501  0.669  0.254
O  0.512  0.332  0.745
O  0.512  0.668  0.745
O  0.820  0.137  0.753
O  0.820  0.863  0.753
O  0.830  0.140  0.225
O  0.830  0.860  0.225
O  0.975  0.336  0.486
O  0.975  0.664  0.486
O  0.987  0.338  0.004
O  0.987  0.662  0.004

Principal peaks in the range 2θ = 10–80°, low angle first:
| 2theta | Rel. int. | hkl |
| --- | --- | --- |
| 16.9 | 100 | 0 2 0 |
| 34.3 | 8 | 1 0 -2 |
| 34.5 | 5 | 2 0 0 |
| 38.4 | 14 | 1 2 -2 |
| 38.7 | 13 | 2 2 0 |
| 39.8 | 12 | 1 2 2 |
| 49.2 | 10 | 1 4 -2 |
| 49.4 | 10 | 2 4 0 |